Ebola First optimism in Liberia

Cautious optimism in the fight against the Ebola epidemic
Although the Ebola epidemic in the West African states of Guinea, Liberia and Sierra Leone can by no means be judged to have been overcome, the UN Special Envoy reports. David Nabarro of growing confidence and a growing self-confidence in the local population. Last but not least, the emerging optimism is based on the successes in disease control. Last week, the World Health Organization (WHO) recorded the lowest number of new Ebola infections in Guinea and Liberia since the summer of 2014.
• Unrelated to this article: data records:
/*
DFT (ωB97M-V with the def2-TZVPD basis set) results for a structure of composition C33H39Cl2HoN8S at a distorted geometry.

```
84
C33H39Cl2HoN8S | the OMol25 dataset | ωB97M-V with the def2-TZVPD basis set
Ho -11.235 -14.913 9.066
C -12.151 -10.682 11.265
C -12.413 -12.049 11.946
C -11.207 -13.010 11.871
N -11.522 -14.316 11.306
C -12.105 -15.213 12.125
C -12.479 -14.877 13.464
C -12.638 -15.714 14.565
C -12.296 -17.048 14.675
C -12.478 -17.952 13.633
C -12.735 -17.726 12.288
C -12.379 -16.550 11.534
N -12.128 -16.613 10.220
C -12.592 -17.744 9.416
C -12.640 -17.422 7.857
C -13.665 -16.361 7.505
N -13.163 -15.032 7.906
C -13.851 -13.946 7.601
C -15.250 -14.039 7.384
C -16.189 -13.031 7.100
C -15.950 -11.750 6.596
C -14.696 -11.244 6.324
C -13.472 -11.569 6.904
C -13.099 -12.651 7.722
N -12.027 -12.694 8.501
C -11.343 -11.444 8.823
C -12.161 -10.495 9.700
H -11.204 -10.254 11.677
H -12.952 -10.024 11.662
H -13.309 -12.512 11.537
H -12.689 -11.816 12.954
H -10.702 -13.121 12.837
H -10.466 -12.507 11.184
H -12.593 -13.785 13.627
H -12.972 -15.201 15.456
H -12.044 -17.442 15.655
H -12.348 -18.992 13.878
H -12.999 -18.591 11.685
H -13.609 -18.084 9.735
H -11.919 -18.635 9.506
H -12.931 -18.356 7.336
H -11.661 -17.141 7.402
H -14.601 -16.615 8.033
H -13.874 -16.393 6.401
H -15.648 -15.033 7.502
H -17.236 -13.257 7.282
H -16.819 -11.101 6.422
H -14.649 -10.366 5.642
H -12.656 -10.868 6.673
H -11.032 -10.888 7.913
H -10.423 -11.745 9.335
H -13.216 -10.518 9.338
H -11.851 -9.454 9.537
Cl -8.459 -13.227 9.480
C -7.557 -13.505 7.957
C -6.155 -13.416 8.141
C -5.283 -13.620 7.056
C -5.827 -13.940 5.801
C -7.201 -14.040 5.611
Cl -7.691 -14.604 4.059
C -8.139 -13.825 6.697
S -9.849 -13.927 6.366
H -5.816 -13.143 9.129
H -4.188 -13.493 7.183
H -5.146 -14.083 4.944
C -8.831 -21.015 11.696
C -8.608 -21.058 10.186
C -9.898 -21.164 9.351
C -7.713 -19.864 9.672
N -8.401 -18.613 9.564
C -8.191 -17.402 10.130
N -9.054 -16.518 9.611
N -9.691 -17.166 8.618
N -9.336 -18.445 8.625
H -9.346 -21.919 11.993
H -9.273 -20.109 12.086
H -7.863 -21.122 12.180
H -8.049 -21.976 9.908
H -10.688 -20.474 9.729
H -10.316 -22.179 9.536
H -9.826 -21.039 8.289
H -7.314 -20.163 8.691
H -6.898 -19.716 10.408
H -7.442 -17.095 10.827
```

## Properties
**Multiplicity**: 5
**Electronic energy**: -108452.3682 eV
**Largest force on an atom**: 0.05645 hartree/bohr
**HOMO (alpha / beta)**: -6.618 / -6.637 eV
**Energy above the lowest of the compared OMol25 structures with the same formula, charge and spin**: 36.5 kJ/mol
**Kohn-Sham gap (alpha / beta)**: 0.240 / 0.241 Ha
**⟨S²⟩**: 6.004
**LUMO level (alpha / beta)**: -0.1 / -0.1 eV


Here is 5 unconnected molecules or ions with the total composition C5H15N5O10 from the Open Molecules 2025 dataset. Energies are from ωB97M-V/def2-TZVPD.

Structure (XYZ):
```
35
Properties=species:S:1:pos:R:3:lowdin_charge:R:1
C 4.185 0.643 -1.438 0.045
N 3.390 -0.541 -1.835 -0.444
O 3.845 -1.221 -2.729 0.078
O 2.354 -0.766 -1.240 0.056
H 3.630 1.244 -0.728 0.092
*/
• Back to the article:
„In recent weeks, we have seen a big change, a sense of self-confidence, a feeling that (Ebola) can be beaten“, so Dr. Nabarro in a recent United Nations (UN) press release. The noticeable changes have begun, according to the UN statement in Liberia at the beginning of December. According to the WHO, the number of new infections in the West African country has fallen from more than 300 confirmed cases per week in August and September 2014 to eight confirmed cases in the past week. Accordingly, Liberia is not without reason confident that it has soon overcome the epidemic. However, the situation is currently different in Sierra Leone, where 184 new Ebola infections were registered by the WHO last week.
First successes are noticeable
According to the WHO, sufficient treatment capacities are now available for the treatment of Ebola patients in both Liberia, Guinea and Sierra Leone. However, there is sometimes an uneven geographical distribution of beds and cases, which can lead to difficulties on the ground. Overall, however, the care situation of patients has improved significantly. Also, a safe and dignified burial of all deceased is guaranteed. In addition, in most cases, the identification and monitoring of the contact persons or other potentially infected persons takes place. Here are, according to Dr. Nabarro, however, still find gaps. Not all contact persons are always determined and consistently monitored. In addition, sometimes not all contact persons of the Ebola patients can be determined. This is in many cases veritable detective work, Dr. Nabarro.
Further vigilance and discipline required
Despite the achievable results in Liberia and the timid optimism, the UN Special Representative continues to urge „Vigilance and discipline.“ That is the only way to ensure that the disease is completely eradicated. In Sierra Leone, however, an end to the Ebola epidemic is not yet in sight. In the past three weeks alone, 769 new infections were found here. With more than 10,000 infections and more than 3,000 deaths, Sierra Leone is now the worst affected country, even though Liberia had a total of approximately 3,500 Ebola deaths over the past year. Worldwide, according to the WHO, 21,261 people have been infected with Ebola by 11 January, and 8,414 people have died as a result of the infection. (Fp)
Picture credits: NicoLeHe